**Listing**
~~~
Molecular formula: C20H26N2O6S
Method: DFT, wB97M-V/def2-TZVPD

Properties
- relative energy (zero: lowest compared OMol25 entry of this formula, charge and spin) (eV) = 0.108
- energy (hartree) = -1736.82684
- Kohn-Sham gap (eV) = 9.14
- SMILES = CCN(CC)S(=O)(=O)c1ccc(NC(=O)COc2c(OC)cccc2OC)cc1
- lowest unoccupied orbital energy (eV) = 0.47
- E_HOMO (eV) = -8.67

Structure (ORCA input):
```
! RIJCOSX wB97M-V def2-TZVPD def2/J DEFGRID3
* xyz 0 1
C 2.3122 1.5893 -0.1163
O 5.3185 1.4648 0.4433
H -1.7493 0.6501 1.4464
H -2.9861 -3.4918 0.2502
H 2.6377 -3.2375 -1.1892
C 2.0439 -0.1563 1.5143
H 5.0501 -2.6170 -1.3704
C -3.4983 2.0718 0.5378
H 2.8845 -1.9781 -2.3959
O -5.5589 0.8759 -1.0592
C -4.3440 -2.5939 -1.1248
H 2.5020 -0.9113 2.1333
H 2.9686 2.1796 -0.7351
H -5.6823 -1.4944 -2.3573
C -4.0218 -0.2519 0.3271
H 0.0462 -0.4834 2.2059
C 0.6854 0.0855 1.5490
H 5.1754 1.1054 -1.7715
H -2.7542 -3.2069 2.5707
C 2.8497 0.5943 0.6777
C -6.4562 0.8901 -2.1443
H 3.8303 0.1793 -2.4800
S 4.6030 0.2321 0.5925
C 4.3507 -2.0019 -0.7953
H 2.2261 -1.5612 -0.8099
O 4.9330 -0.6330 1.6884
N 4.8219 -0.6381 -0.8064
O -2.5250 -1.2966 1.7949
H -4.1152 2.3037 -0.3337
N -1.2492 1.2689 0.8102
O -3.8578 0.8479 1.1449
C -2.0237 2.1512 0.1293
C 4.8374 0.1050 -2.0447
H -7.2640 0.1656 -2.0060
H 6.7812 -0.6248 -2.6100
C 5.8022 -0.4953 -3.0624
C 0.9509 1.8328 -0.0949
H 5.8935 0.1738 -3.9139
H -3.6752 2.8385 1.2992
C -1.9771 -2.4708 2.3484
C -3.5075 -2.5904 -0.0249
C -4.8884 -0.2774 -0.7756
H -5.9444 0.6953 -3.0917
H 5.4488 -1.4599 -3.4182
H -6.8736 1.8956 -2.1612
C -5.0285 -1.4559 -1.5022
H 0.5197 2.6056 -0.7090
O -1.6410 2.9489 -0.6974
C 0.1252 1.0753 0.7371
C -3.3393 -1.4196 0.7007
H -1.4999 -2.1668 3.2793
H -1.2287 -2.9167 1.6849
C 2.9328 -2.2013 -1.3328
H 4.4062 -2.3128 0.2488
H -4.4688 -3.5015 -1.6946
*
```

Per-atom Mulliken charges, elementary charge units:
1 C -0.475
2 O -0.737
3 H 0.203
4 H 0.432
5 H 0.403
6 C -0.675
7 H 0.385
8 C -0.703
9 H 0.285
10 O -0.374
11 C -1.086
12 H 0.490
13 H 0.466
14 H 0.400
15 C 0.295
16 H 0.314
17 C -0.440
18 H 0.381
19 H 0.479
20 C -0.045
21 C -0.990
22 H 0.315
23 S 1.241
24 C -0.723
25 H 0.110
26 O -0.728
27 N 0.160
28 O -0.304
29 H 0.315
30 N -0.046
31 O -0.576
32 C 0.725
33 C -0.241
34 H 0.373
35 H 0.340
36 C -1.476
37 C -0.819
38 H 0.432
39 H 0.329
40 C -1.192
41 C -0.685
42 C 0.960
43 H 0.397
44 H 0.315
45 H 0.251
46 C -0.568
47 H 0.543
48 O -0.667
49 C 0.690
50 C 0.901
51 H 0.268
52 H 0.419
53 C -0.814
54 H 0.379
55 H 0.369

Molecular formula: C29H65IN3O14S5
Method: DFT, wB97M-V/def2-TZVPD

Properties
- relative energy (zero: lowest compared OMol25 entry of this formula, charge and spin) (eV) = 1.751
- energy (hartree) = -4649.37231
- Kohn-Sham gap (eV) = 5.73
- lowest unoccupied orbital energy (eV) = -4.00
- E_HOMO (eV) = -9.72

Structure (ORCA input):
```
! RIJCOSX wB97M-V def2-TZVPD def2/J DEFGRID3
* xyz 1 1
H 3.1823 -3.8854 -1.1011
H 1.0494 -3.1021 -1.9852
C -1.9106 4.9470 0.0760
H 3.4066 -0.2328 -2.4904
C 2.2653 -4.3057 -0.7627
H -3.3012 3.9908 3.2314
O 7.2139 0.8182 0.6861
H -2.4709 2.6444 0.7378
H 3.7690 -1.8344 -4.8073
H 2.2632 -0.0703 6.4992
C 6.5522 -1.3920 -0.2161
C -0.5084 0.7444 -1.8611
H -0.3797 1.2927 -2.8263
C -5.2041 -2.6352 1.0436
H -6.3412 -0.9285 -1.9795
H -1.2056 0.0049 5.4479
H -7.3957 -0.2473 -3.2749
C 5.5709 2.3305 -1.0710
H -0.4053 -0.3109 -2.0860
S -4.5646 -1.4182 2.0984
H 0.3321 -3.3889 1.7906
H -4.0983 -4.1163 1.7056
H 3.0265 -0.5988 -0.3296
H -5.2377 -1.8979 -4.2228
O 0.2081 1.5048 6.9767
H 2.3730 -1.7591 -3.9607
C 0.1951 -0.7049 4.0477
C -2.5746 3.5977 2.2632
H -1.3736 1.0275 -1.0739
H 3.9513 -2.5927 -3.2825
O -0.3699 0.2730 1.0080
H 1.6199 0.7980 -1.1895
C 1.2526 -3.0328 1.3718
H -1.1674 0.7908 3.8054
O 3.0701 -0.0180 -1.1274
C 1.8516 0.1485 5.5596
H 1.9052 -1.7922 4.7840
O 1.8923 -5.5794 1.4495
H -0.2643 -1.4421 3.6033
H -6.3574 1.3995 -1.3304
S 2.4151 -4.3254 0.9859
H -0.0821 -2.1619 0.1753
H -5.6590 -2.2387 0.1881
O 1.8298 0.5410 -4.4281
H 0.7392 -1.4264 6.0170
~~~
**Wanted**
Please say how many lines of the block further above hold the word "cc1", as a bare number.
**Reply**
1